[Source]
+++
# 1
Density functional theory data (wB97M-V/def2-TZVPD) for CH30AgO18 as an isolated structure in a non-equilibrium geometry.

Positions of all 50 atoms, in Å:
Ag (1.567280, -2.139200, 1.025140)
C (0.371280, -0.173200, -0.223860)
O (-0.082720, -0.540200, 1.123140)
O (1.568280, 0.330800, -0.212860)
O (-0.538720, -0.007200, -1.140860)
O (-2.207720, -1.841200, -1.068860)
H (-2.514720, -2.081200, -1.955860)
H (-1.706720, -1.009200, -1.167860)
O (-0.732720, -0.582200, 3.811140)
H (-1.687720, -0.357200, 3.817140)
H (-0.485720, -0.760200, 2.892140)
O (1.845280, 0.941800, -2.739860)
H (1.787280, 0.521800, -1.910860)
H (2.360280, 1.728800, -2.491860)
O (-2.333720, 0.588800, 1.034140)
H (-1.399720, 0.256800, 0.777140)
H (-2.211720, 1.563800, 1.180140)
O (-2.854720, -1.980200, 2.102140)
H (-2.452720, -2.781200, 1.886140)
H (-2.444720, -1.422200, 1.435140)
O (0.285280, 1.967800, 2.317140)
H (1.097280, 1.856800, 2.740140)
H (0.201280, 1.183800, 1.778140)
O (1.792280, -1.654200, 3.283140)
H (2.083280, -2.284200, 3.930140)
H (0.922280, -1.304200, 3.481140)
O (4.800280, 0.360800, -0.997860)
H (4.290280, -0.196200, -0.428860)
H (5.649280, 0.180800, -0.709860)
O (-0.932720, 2.513800, -2.094860)
H (-0.757720, 1.657800, -1.721860)
H (-1.223720, 2.946800, -1.282860)
O (-2.534720, 0.772800, -3.674860)
H (-1.883720, 1.433800, -3.401860)
H (-2.031720, -0.006200, -3.618860)
O (-3.462720, 1.575800, -1.107860)
H (-3.158720, 1.086800, -0.312860)
H (-2.942720, 1.281800, -1.838860)
O (1.494280, 2.908800, -0.137860)
H (1.624280, 3.040800, 0.807140)
H (1.488280, 1.944800, -0.232860)
O (0.204280, -1.734200, -3.158860)
H (-0.707720, -1.954200, -3.305860)
H (0.145280, -1.045200, -2.494860)
O (3.358280, 1.096800, 1.523140)
H (2.680280, 0.784800, 0.869140)
H (4.140280, 1.410800, 1.086140)
O (-0.466720, -3.342200, 0.455140)
H (-0.997720, -2.669200, -0.050860)
H (-1.001720, -4.074200, 0.131140)

Forces on the atoms, in the same order (eV/Å):
Ag 0.046 -0.207 0.082
C -1.709 2.475 3.415
O 1.360 0.042 -4.660
O -1.900 -2.781 -1.038
O 3.179 -0.747 1.871
O -0.792 -1.141 -0.342
H -0.055 0.060 0.506
H 0.218 0.451 0.117
O -0.243 -0.051 0.655
H 0.969 -0.412 -0.435
H -1.053 0.485 -0.399
O 0.750 1.400 -2.035
H -0.116 -0.926 1.579
H -0.330 -0.189 -0.367
O 1.063 1.352 0.150
H -1.698 0.367 0.960
H -0.078 -1.332 0.057
O -0.838 1.530 0.394
H 0.937 -2.383 -0.174
H -0.348 0.746 0.008
O -1.905 1.158 -0.551
H 2.129 -0.298 1.193
H -0.108 -0.710 -0.175
O 0.975 0.083 -1.008
H -0.251 -0.249 0.611
H -0.338 0.007 0.963
O -1.836 0.805 -1.140
H -1.022 -0.433 0.430
H 2.961 -0.364 0.652
O -0.219 0.938 -0.074
H 0.742 -1.079 -0.024
H -0.207 0.494 -0.341
O -0.794 1.182 -0.250
H 0.061 0.681 0.001
H 0.984 -1.746 -0.095
O -1.042 0.517 1.174
H -0.137 -0.033 -0.629
H 0.275 -0.373 -0.772
O 0.188 0.778 -0.167
H -0.168 -0.050 -0.056
H -0.053 0.410 -0.108
O 0.513 -0.480 -0.425
H -0.490 -0.365 -0.178
H 0.097 0.607 0.206
O -0.682 -0.630 0.861
H 0.833 0.420 0.412
H 0.116 0.249 -0.693
O -0.981 0.231 -0.668
H 0.480 0.322 0.281
H 0.516 -0.809 0.231

## Properties
- Charge: -1
- Total energy: -42380.6302 eV
- E_LUMO: 1.34 eV
- M: 438.1 g/mol

Löwdin population analysis, charges in e, atoms 1 to 6: 0.81, -0.58, -0.28, -0.13, -0.09, -0.05

***

# 2
Density functional theory data (wB97M-V/def2-TZVPD) for a 11-piece molecular cluster, C22H42B7F28N5O3 overall in a non-equilibrium geometry.

Positions of all 107 atoms, in Å:
C (-3.746152, 4.852614, -0.614836)
C (-4.498643, 3.715575, -0.022981)
O (-5.640550, 3.473218, -0.268599)
N (-3.736228, 2.747876, 0.838416)
H (-3.309634, 3.185296, 1.652606)
H (-4.425859, 2.090509, 1.201931)
C (-2.687161, 1.992128, 0.046752)
H (-3.045367, 4.391707, -1.319906)
H (-3.133305, 5.439756, 0.067747)
H (-4.343711, 5.484705, -1.266623)
H (-3.042075, 1.446328, -0.827839)
H (-2.382908, 1.200913, 0.733944)
H (-1.809449, 2.605975, -0.148373)
C (-0.059826, -1.178666, 0.729131)
C (-0.674388, -1.262812, -0.605566)
O (-1.657593, -0.680185, -0.973491)
N (0.132360, -2.011027, -1.665659)
+++

[Exercise]
Retype the whole of the lines earlier on verbatim.

[Result]
# 1
Density functional theory data (wB97M-V/def2-TZVPD) for CH30AgO18 as an isolated structure in a non-equilibrium geometry.

Positions of all 50 atoms, in Å:
Ag (1.567280, -2.139200, 1.025140)
C (0.371280, -0.173200, -0.223860)
O (-0.082720, -0.540200, 1.123140)
O (1.568280, 0.330800, -0.212860)
O (-0.538720, -0.007200, -1.140860)
O (-2.207720, -1.841200, -1.068860)
H (-2.514720, -2.081200, -1.955860)
H (-1.706720, -1.009200, -1.167860)
O (-0.732720, -0.582200, 3.811140)
H (-1.687720, -0.357200, 3.817140)
H (-0.485720, -0.760200, 2.892140)
O (1.845280, 0.941800, -2.739860)
H (1.787280, 0.521800, -1.910860)
H (2.360280, 1.728800, -2.491860)
O (-2.333720, 0.588800, 1.034140)
H (-1.399720, 0.256800, 0.777140)
H (-2.211720, 1.563800, 1.180140)
O (-2.854720, -1.980200, 2.102140)
H (-2.452720, -2.781200, 1.886140)
H (-2.444720, -1.422200, 1.435140)
O (0.285280, 1.967800, 2.317140)
H (1.097280, 1.856800, 2.740140)
H (0.201280, 1.183800, 1.778140)
O (1.792280, -1.654200, 3.283140)
H (2.083280, -2.284200, 3.930140)
H (0.922280, -1.304200, 3.481140)
O (4.800280, 0.360800, -0.997860)
H (4.290280, -0.196200, -0.428860)
H (5.649280, 0.180800, -0.709860)
O (-0.932720, 2.513800, -2.094860)
H (-0.757720, 1.657800, -1.721860)
H (-1.223720, 2.946800, -1.282860)
O (-2.534720, 0.772800, -3.674860)
H (-1.883720, 1.433800, -3.401860)
H (-2.031720, -0.006200, -3.618860)
O (-3.462720, 1.575800, -1.107860)
H (-3.158720, 1.086800, -0.312860)
H (-2.942720, 1.281800, -1.838860)
O (1.494280, 2.908800, -0.137860)
H (1.624280, 3.040800, 0.807140)
H (1.488280, 1.944800, -0.232860)
O (0.204280, -1.734200, -3.158860)
H (-0.707720, -1.954200, -3.305860)
H (0.145280, -1.045200, -2.494860)
O (3.358280, 1.096800, 1.523140)
H (2.680280, 0.784800, 0.869140)
H (4.140280, 1.410800, 1.086140)
O (-0.466720, -3.342200, 0.455140)
H (-0.997720, -2.669200, -0.050860)
H (-1.001720, -4.074200, 0.131140)

Forces on the atoms, in the same order (eV/Å):
Ag 0.046 -0.207 0.082
C -1.709 2.475 3.415
O 1.360 0.042 -4.660
O -1.900 -2.781 -1.038
O 3.179 -0.747 1.871
O -0.792 -1.141 -0.342
H -0.055 0.060 0.506
H 0.218 0.451 0.117
O -0.243 -0.051 0.655
H 0.969 -0.412 -0.435
H -1.053 0.485 -0.399
O 0.750 1.400 -2.035
H -0.116 -0.926 1.579
H -0.330 -0.189 -0.367
O 1.063 1.352 0.150
H -1.698 0.367 0.960
H -0.078 -1.332 0.057
O -0.838 1.530 0.394
H 0.937 -2.383 -0.174
H -0.348 0.746 0.008
O -1.905 1.158 -0.551
H 2.129 -0.298 1.193
H -0.108 -0.710 -0.175
O 0.975 0.083 -1.008
H -0.251 -0.249 0.611
H -0.338 0.007 0.963
O -1.836 0.805 -1.140
H -1.022 -0.433 0.430
H 2.961 -0.364 0.652
O -0.219 0.938 -0.074
H 0.742 -1.079 -0.024
H -0.207 0.494 -0.341
O -0.794 1.182 -0.250
H 0.061 0.681 0.001
H 0.984 -1.746 -0.095
O -1.042 0.517 1.174
H -0.137 -0.033 -0.629
H 0.275 -0.373 -0.772
O 0.188 0.778 -0.167
H -0.168 -0.050 -0.056
H -0.053 0.410 -0.108
O 0.513 -0.480 -0.425
H -0.490 -0.365 -0.178
H 0.097 0.607 0.206
O -0.682 -0.630 0.861
H 0.833 0.420 0.412
H 0.116 0.249 -0.693
O -0.981 0.231 -0.668
H 0.480 0.322 0.281
H 0.516 -0.809 0.231

## Properties
- Charge: -1
- Total energy: -42380.6302 eV
- E_LUMO: 1.34 eV
- M: 438.1 g/mol

Löwdin population analysis, charges in e, atoms 1 to 6: 0.81, -0.58, -0.28, -0.13, -0.09, -0.05

***

# 2
Density functional theory data (wB97M-V/def2-TZVPD) for a 11-piece molecular cluster, C22H42B7F28N5O3 overall in a non-equilibrium geometry.

Positions of all 107 atoms, in Å:
C (-3.746152, 4.852614, -0.614836)
C (-4.498643, 3.715575, -0.022981)
O (-5.640550, 3.473218, -0.268599)
N (-3.736228, 2.747876, 0.838416)
H (-3.309634, 3.185296, 1.652606)
H (-4.425859, 2.090509, 1.201931)
C (-2.687161, 1.992128, 0.046752)
H (-3.045367, 4.391707, -1.319906)
H (-3.133305, 5.439756, 0.067747)
H (-4.343711, 5.484705, -1.266623)
H (-3.042075, 1.446328, -0.827839)
H (-2.382908, 1.200913, 0.733944)
H (-1.809449, 2.605975, -0.148373)
C (-0.059826, -1.178666, 0.729131)
C (-0.674388, -1.262812, -0.605566)
O (-1.657593, -0.680185, -0.973491)
N (0.132360, -2.011027, -1.665659)